
Observe & Be Mindful
Being mindful and observing our thoughts, feelings and sensations in the moment means we can more easily notice when we’re caught up in them. With awareness comes the power of choice - the choice to become less attached to them, to experience something different, or to truly savour them.

These materials data were left in the article by mistake.
/*
# MgAs3C
Simulated X-ray diffraction stick pattern, Cu Kα, 1.54184 Å. Input: the GGA-PBE geometry in Alexandria.
Kinematic intensities with the Lorentz-polarization factor, no thermal factor.

Atomic structure:
Unit cell a=4.4376 b=4.4376 c=4.4376 alpha=90.00 beta=90.00 gamma=90.00
Space group Pm-3m (No. 221)
Symmetry-distinct sites (fractional):
1 Mg 0.0000 0.0000 0.0000 [1 per cell]
2 As 0.0000 0.5000 0.5000 [3 per cell]
3 C 0.5000 0.5000 0.5000 [1 per cell]

Peak list (12 most intense, 10 to 90 degrees two-theta, sorted by position)
| 2theta | d_spacing | Rel. int. | hkl |
| --- | --- | --- | --- |
| 20.0 | 4.438 | 21 | 1 0 0 |
| 28.4 | 3.138 | 7 | 1 1 0 |
| 35.0 | 2.562 | 100 | 1 1 1 |
| 40.7 | 2.219 | 58 | 2 0 0 |
| 45.7 | 1.985 | 9 | 2 1 0 |
| 50.4 | 1.812 | 3 | 2 1 1 |
| 58.9 | 1.569 | 38 | 2 2 0 |
| 62.8 | 1.479 | 4 | 3 0 0 |
| 70.4 | 1.338 | 39 | 3 1 1 |
| 74.0 | 1.281 | 13 | 2 2 2 |
| 81.1 | 1.186 | 2 | 3 2 1 |
| 88.0 | 1.109 | 6 | 4 0 0 |

----------

Structure and calculated XRD peak list of Er4SiTeSe2 (a PBE-relaxed structure; copper Kα).
Peak positions follow from Bragg's law for the DFT cell and can differ from measured ones.

abc: 5.8352 5.8352 11.7480
angles: 90.00 90.00 90.00
Positions (direct):
Er 0.0000 0.0000 0.2376
Er 0.0000 0.0000 0.7624
Er 0.0000 0.5000 0.5082
Er 0.0000 0.5000 0.9918
Er 0.5000 0.0000 0.0082
Er 0.5000 0.0000 0.4918
Er 0.5000 0.5000 0.2624
Er 0.5000 0.5000 0.7376
Si 0.0000 0.0000 0.0000
Si 0.5000 0.5000 0.5000
Te 0.0000 0.5000 0.2500
Te 0.5000 0.0000 0.7500
Se 0.0000 0.0000 0.5000
Se 0.0000 0.5000 0.7500
Se 0.5000 0.0000 0.2500
Se 0.5000 0.5000 0.0000

The 8 most intense peaks (2θ from 5° to 70°), in order of falling intensity:
- 30.64°, I = 100.0, hkl 2 0 0
- 43.73°, I = 71.8, hkl 2 0 4
- 30.44°, I = 48.5, hkl 0 0 4
- 54.34°, I = 37.9, hkl 2 2 4
- 43.89°, I = 37.3, hkl 2 2 0
- 26.40°, I = 35.5, hkl 1 1 2
- 63.80°, I = 12.2, hkl 4 0 0
- 51.94°, I = 11.8, hkl 3 1 2


Structure and calculated XRD peak list of AsIF12 (a PBE-relaxed structure; copper Kα).
Peak positions follow from Bragg's law for the DFT cell and can differ from measured ones.

abc: 9.5988 9.5988 9.5988
angles: 90.00 90.00 90.00
Positions (direct):
As 0.0000 0.0000 0.0000
As 0.0000 0.5000 0.5000
As 0.5000 0.0000 0.5000
As 0.5000 0.5000 0.0000
I 0.0000 0.0000 0.5000
I 0.0000 0.5000 0.0000
I 0.5000 0.0000 0.0000
I 0.5000 0.5000 0.5000
F 0.0600 0.6044 0.3594
F 0.0600 0.8956 0.8594
F 0.0621 0.1148 0.6385
F 0.0621 0.3852 0.1385
F 0.1044 0.1406 0.9400
F 0.1044 0.3594 0.4400
F 0.1148 0.6385 0.0621
F 0.1148 0.8615 0.5621
F 0.1385 0.0621 0.3852
F 0.1385 0.4379 0.8852
F 0.1406 0.5600 0.6044
F 0.1406 0.9400 0.1044
F 0.3594 0.0600 0.6044
F 0.3594 0.4400 0.1044
F 0.3615 0.5621 0.3852
F 0.3615 0.9379 0.8852
F 0.3852 0.1385 0.0621
F 0.3852 0.3615 0.5621
F 0.3956 0.6406 0.9400
F 0.3956 0.8594 0.4400
F 0.4379 0.6148 0.6385
F 0.4379 0.8852 0.1385
F 0.4400 0.1044 0.3594
F 0.4400 0.3956 0.8594
F 0.5600 0.6044 0.1406
F 0.5600 0.8956 0.6406
F 0.5621 0.1148 0.8615
*/

Wisdom and Wonder
It can feel hard to know which direction to take sometimes. With so many choices and so many voices clamouring for our attention, finding the peace and clarity to recognise the next step can feel impossible. How do you know what to do, what to think, who to be?

You and The World
It’s so easy to look at ourselves and see where we start and end. We can see the floor we’re stood on, or the chair we’re sitting on. They’re not a part of us, and we’re not a part of them. Right? But in truth you’re no more separate from the world around you than these letters are from the page they’re written on…

**These materials data were left in the article by mistake:**
=====
Computed XRD peak list
Compound: Ac5Nd4Tl4
Radiation: Cu Ka
Structure: a GGA-PBE-relaxed structure
Kinematic intensities with the Lorentz-polarization factor, no thermal factor.

Structural model:
Lattice parameters (Å, degrees): 13.6258 13.6258 5.1377 90.00 90.00 90.00
Space group I4/m (No. 87)
One atom of each set of equivalent atoms:
Ac 0.0000 0.0000 0.0000
Ac 0.1219 0.2009 0.5000
Nd 0.0899 0.5971 0.5000
Tl 0.0748 0.7577 0.0000

Peak list (10 most intense, 5 to 70 degrees two-theta, sorted by position)
2θ/deg	intensity
26.2	22
29.3	100
32.2	24
33.5	18
34.9	22
46.2	13
49.2	13
57.4	10
59.2	12
60.8	12



Computed XRD peak list
Compound: Tb3Sm3ErSe8
Radiation: Cu Ka
Structure: a GGA-PBE-relaxed structure
Kinematic intensities with the Lorentz-polarization factor, no thermal factor.

Structural model:
Lattice parameters (Å, degrees): 8.2194 8.2194 20.2335 90.00 90.00 120.00
Space group R-3m (No. 166, hexagonal axes)
One atom of each set of equivalent atoms:
Tb 0.0000 0.5000 0.0000
Sm 0.0000 0.5000 0.5000
Er 0.0000 0.0000 0.0000
Se 0.0000 0.0000 0.2522
Se 0.0015 0.5007 0.2519

Peak list (10 most intense, 5 to 70 degrees two-theta, sorted by position)
2θ/deg	intensity
13.2	10
25.4	6
26.5	10
30.7	100
43.9	37
44.1	37
52.1	5
54.4	7
54.7	20
64.0	12



Computed XRD peak list
Compound: Na2Zn6Au9
Radiation: Cu Ka
Structure: a GGA-PBE-relaxed structure
Kinematic intensities with the Lorentz-polarization factor, no thermal factor.

Structural model:
Lattice parameters (Å, degrees): 5.7915 5.7915 12.3917 90.00 90.00 120.00
Space group P6/mmm (No. 191)
One atom of each set of equivalent atoms:
Na 0.0000 0.0000 0.1754
Zn 0.3333 0.6667 0.1659
Zn 0.3333 0.6667 0.5000
Au 0.0000 0.5000 0.0000
Au 0.0000 0.5000 0.3320

Peak list (10 most intense, 5 to 70 degrees two-theta, sorted by position)
2θ/deg	intensity
17.7	66
21.5	41
28.0	14
35.8	54
37.9	40
42.2	100
43.8	20
57.8	28
64.3	19
68.7	11



Computed XRD peak list
Compound: NbRu3Se
Radiation: Cu Ka
Structure: a GGA-PBE-relaxed structure
Kinematic intensities with the Lorentz-polarization factor, no thermal factor.

Structural model:
Lattice parameters (Å, degrees): 4.4791 4.4791 4.4791 90.00 90.00 90.00
Space group Pm-3m (No. 221)
One atom of each set of equivalent atoms:
Nb 0.0000 0.0000 0.0000
Ru 0.0000 0.5000 0.5000
Se 0.5000 0.5000 0.5000

Peak list (10 most intense, 5 to 70 degrees two-theta, sorted by position)
2θ/deg	intensity
19.8	21
28.2	12
34.7	92
40.3	100
45.3	9
49.9	5
58.3	66
62.2	4
65.9	2
69.6	34



Computed XRD peak list
Compound: Tl3HgH2
Radiation: Cu Ka
Structure: a GGA-PBE-relaxed structure
Kinematic intensities with the Lorentz-polarization factor, no thermal factor.

Structural model:
Lattice parameters (Å, degrees): 6.8489 7.5579 11.2376 90.00 95.15 90.00
Space group C2/c (No. 15)
One atom of each set of equivalent atoms:
Tl 0.0000 0.1004 0.2500
Tl 0.2393 0.4926 0.4886
Hg 0.0000 0.3444 0.7500
H 0.1379 0.2681 0.3864

Peak list (10 most intense, 5 to 70 degrees two-theta, sorted by position)
=====

Most of us want a purpose to our lives. For some, having a family, a secure job, a strong community or deeply-held religious beliefs mean that we can find it quite easily. But as society changes, fewer of us can rely on the things that have traditionally given people purpose and a sense of meaning to their life. So it’s completely normal to feel that you need to discover it for yourself!

The page is interrupted by records of crystals
Diffraction record for RbLiHgBr4. The XRD peak list is simulated, not measured: it uses a GGA-PBE-relaxed structure and Cu Kα (λ = 1.5418 Å).
Neutral-atom scattering factors, no anomalous dispersion.

The 8 most intense peaks (5 to 70 degrees two-theta), by angle:
14.80 deg, intensity 58, hkl 0 1 1; 20.87 deg, intensity 38, hkl 1 0 -2; 22.58 deg, intensity 39, hkl 0 2 0; 27.04 deg, intensity 67, hkl 1 2 -1; 28.46 deg, intensity 36, hkl 1 1 2; 29.18 deg, intensity 100, hkl 1 0 -3; 33.04 deg, intensity 36, hkl 2 1 1; 46.11 deg, intensity 37, hkl 0 4 0

Crystal structure
Cell: 6.7380 7.8749 9.4633 Å, 90.00 103.24 90.00°
Space group P2_1/m (No. 11)
One atom of each set of equivalent atoms:
Rb (0.2192, 0.2500, 0.0767) x2
Li (0.3200, 0.2500, 0.6892) x2
Hg (0.1939, 0.7500, 0.3539) x2
Br (0.0833, 0.0042, 0.7274) x4
Br (0.3650, 0.7500, 0.1031) x2
Br (0.4601, 0.2500, 0.4591) x2

~~~~~

Record 1
Starting from a structure optimized by DFT (PBE), the PXRD pattern of HoAgTe3Pb was calculated for Cu Kα, 1.54184 Å.

Peak list (6 most intense, 10° ≤ 2θ ≤ 80°, low angle first)
- 27.98°, I = 42, hkl 6 0 0
- 28.54°, I = 100, hkl 1 1 -2
- 34.36°, I = 23, hkl 5 1 1
- 40.01°, I = 22, hkl 2 0 -4
- 40.12°, I = 20, hkl 5 1 2
- 41.59°, I = 27, hkl 0 2 0

Crystal structure
```
data_HoAgTe3Pb
_cell_length_a 19.5571
_cell_length_b 4.3434
_cell_length_c 9.0152
_cell_angle_alpha 90.00
_cell_angle_beta 102.17
_cell_angle_gamma 90.00
_space_group_name_H-M_alt 'C 1 2/m 1'
_space_group_IT_number 12
loop_
_space_group_symop_operation_xyz
'x,y,z'
'-x,-y,-z'
'-x,y,-z'
'x,-y,z'
'x+1/2,y+1/2,z'
'-x+1/2,-y+1/2,-z'
'-x+1/2,y+1/2,-z'
'x+1/2,-y+1/2,z'
loop_
_atom_site_label
_atom_site_fract_x
_atom_site_fract_y
_atom_site_fract_z
Ho1 0.1628 0.0000 0.0891
Ag1 0.0409 0.5000 0.2128
Te1 0.0000 0.0000 0.0000
Te2 0.0000 0.5000 0.5000
Te3 0.1748 0.5000 0.8548
Te4 0.1861 0.5000 0.3366
Pb1 0.1287 0.0000 0.5732
```



Record 2
Starting from a structure optimized by DFT (PBE), the PXRD pattern of Ho2TmTl3AgPd2 was calculated for Cu Kα, 1.54184 Å.

Peak list (6 most intense, 10° ≤ 2θ ≤ 80°, low angle first)
- 32.99°, I = 100, hkl 1 3 1
- 34.65°, I = 44, hkl 0 1 3
- 35.56°, I = 62, hkl 1 4 0
- 39.46°, I = 43, hkl 0 6 0
- 64.31°, I = 31, hkl 1 1 5
- 64.46°, I = 20, hkl 2 6 0

Crystal structure
```
data_Ho2TmTl3AgPd2
_cell_length_a 3.7351
_cell_length_b 13.6957
_cell_length_c 7.9127
_cell_angle_alpha 90.00
_cell_angle_beta 90.00
_cell_angle_gamma 90.00
_space_group_name_H-M_alt 'A m m 2'
_space_group_IT_number 38
loop_
_space_group_symop_operation_xyz
'x,y,z'
'-x,-y,z'
'-x,y,z'
'x,-y,z'
'x,y+1/2,z+1/2'
'-x,-y+1/2,z+1/2'
'-x,y+1/2,z+1/2'
'x,-y+1/2,z+1/2'
loop_
_atom_site_label
_atom_site_fract_x
_atom_site_fract_y
_atom_site_fract_z
Ho1 0.0000 0.2026 0.0000
Tm1 0.0000 0.0000 0.6085
Tl1 0.5000 0.0000 0.9277
Tl2 0.5000 0.1375 0.3401
Ag1 0.0000 0.0000 0.2033
Pd1 0.5000 0.1657 0.7021
```



Record 3

Playfulness and Creativity
Life can feel pretty serious right now. We’re often faced with instability, both in our lives and in the world around us, and it’s hard to avoid the bad news that shouts for our attention every time we check the news or go on social media. At MOH we firmly believe in the power of self-care, so there are times when the best gift you can give yourself is a news or social media ban (or to create a new habit where you only check them once a day!).

Appreciation and Gratitude
A few years ago I stumbled on something that really helped to shift my life for the better. It’s a secret super-power that’s been hidden in plain sight for years. It can “unshackle us from toxic emotions”, help us to rewire our brain towards more positivity, strengthen our relationships and even increase our resilience after traumatic events.

The Habit of Happiness
Have you ever made (and then broken) a New Year’s resolution? Yeah, me too. That’s the thing with a new year; it’s easy to feel like you need to change. How many of us have made goals to ‘eat healthily’, ‘quit drinking/smoking’ or ‘exercise more’, and then failed to follow through?

Welcome to a HAPPY WORLD
We all want to be happy, but when we feel overwhelmed, sad or confused it can feel hard to know what to focus on. So we’re making it easy for you!
Each letter in the words HAPPY WORLD stands for something which will make you feel better. They will make the world we live in a happier place, too!